-- Entries --
Record 1
The following is a DFT calculation (meta-GGA r2SCAN) of a geometry-optimized Si2Mo4P6O25 structure.

Values from the calculation:
V ... 481 Å³/f.u.
Electronic total energy ... -11.13 eV/atom
Symmetry ... P-3 (147)

Structure (POSCAR):
```
Si2Mo4P6O25
1.0
7.276 -12.603 0.000
7.277 12.603 0.000
0.000 0.000 7.863
Si Mo P O
6 12 18 75
Direct
0.000 0.000 0.299 Si
0.333 0.667 0.200 Si
0.333 0.667 0.798 Si
0.667 0.333 0.202 Si
0.667 0.333 0.800 Si
0.000 0.000 0.701 Si
0.001 0.661 0.051 Mo
0.673 0.002 0.443 Mo
0.661 0.661 0.949 Mo
0.002 0.329 0.557 Mo
0.661 0.999 0.051 Mo
0.671 0.673 0.557 Mo
0.999 0.339 0.949 Mo
0.329 0.327 0.443 Mo
0.327 0.998 0.557 Mo
0.339 0.001 0.949 Mo
0.339 0.339 0.051 Mo
0.998 0.671 0.443 Mo
0.427 0.899 0.255 P
0.101 0.528 0.255 P
0.767 0.861 0.249 P
0.472 0.573 0.255 P
0.861 0.094 0.751 P
0.233 0.139 0.751 P
0.760 0.566 0.252 P
0.906 0.767 0.751 P
0.240 0.434 0.748 P
0.573 0.101 0.745 P
0.139 0.906 0.249 P
0.806 0.240 0.252 P
0.566 0.806 0.748 P
0.094 0.233 0.249 P
0.899 0.472 0.745 P
0.528 0.427 0.745 P
0.434 0.194 0.252 P
0.194 0.760 0.748 P
0.476 0.383 0.915 O
0.281 0.410 0.589 O
0.411 0.784 0.272 O
0.915 0.540 0.593 O
0.784 0.373 0.728 O
0.085 0.460 0.407 O
0.627 0.411 0.728 O
0.617 0.093 0.915 O
0.913 0.216 0.757 O
0.958 0.076 0.775 O
0.719 0.590 0.411 O
0.239 0.187 0.579 O
0.754 0.118 0.241 O
0.294 0.432 0.911 O
0.451 0.709 0.725 O
0.882 0.958 0.225 O
0.364 0.246 0.241 O
0.742 0.451 0.275 O
0.087 0.784 0.243 O
0.924 0.882 0.775 O
0.667 0.333 0.001 O
0.138 0.706 0.911 O
0.333 0.667 0.999 O
0.568 0.862 0.911 O
0.246 0.882 0.759 O
0.187 0.949 0.421 O
0.949 0.761 0.579 O
0.907 0.524 0.915 O
0.625 0.085 0.593 O
0.789 0.042 0.899 O
0.578 0.549 0.743 O
0.432 0.138 0.089 O
0.000 0.000 0.500 O
0.118 0.364 0.759 O
0.216 0.304 0.243 O
0.118 0.042 0.775 O
0.590 0.870 0.589 O
0.253 0.211 0.899 O
0.383 0.907 0.085 O
0.042 0.924 0.225 O
0.130 0.719 0.589 O
0.696 0.913 0.243 O
0.882 0.636 0.241 O
0.216 0.627 0.272 O
0.422 0.451 0.257 O
0.042 0.253 0.101 O
0.636 0.754 0.759 O
0.870 0.281 0.411 O
0.375 0.915 0.407 O
0.211 0.958 0.101 O
0.589 0.216 0.728 O
0.029 0.578 0.257 O
0.304 0.087 0.757 O
0.549 0.291 0.275 O
0.813 0.051 0.579 O
0.051 0.239 0.421 O
0.410 0.130 0.411 O
0.373 0.589 0.272 O
0.291 0.742 0.725 O
0.460 0.375 0.593 O
0.258 0.549 0.725 O
0.093 0.476 0.085 O
0.524 0.617 0.085 O
0.958 0.747 0.899 O
0.709 0.258 0.275 O
0.549 0.971 0.257 O
0.540 0.625 0.407 O
0.451 0.029 0.743 O
0.784 0.696 0.757 O
0.971 0.422 0.743 O
0.706 0.568 0.089 O
0.076 0.118 0.225 O
0.747 0.789 0.101 O
0.862 0.294 0.089 O
0.761 0.813 0.421 O
```

Record 2
The following is a DFT calculation (meta-GGA r2SCAN) of a geometry-optimized MoPbO4 structure.

Values from the calculation:
V ... 89 Å³/f.u.
Electronic total energy ... -19.71 eV/atom
Symmetry ... P-1 (2)

Structure (POSCAR):
```
MoPbO4
1.0
1.146 4.291 -3.164
5.241 -1.495 -0.130
-4.272 -4.728 -3.250
Mo Pb O
2 2 8
Direct
0.125 0.375 0.250 Mo
0.875 0.625 0.750 Mo
0.626 0.875 0.250 Pb
0.375 0.125 0.750 Pb
0.932 0.311 0.587 O
0.277 0.433 0.087 O
0.811 0.154 0.086 O
0.654 0.777 0.587 O
0.346 0.223 0.413 O
0.189 0.846 0.913 O
0.067 0.689 0.413 O
0.723 0.567 0.913 O
```

Record 3
The following is a DFT calculation (meta-GGA r2SCAN) of a geometry-optimized Pr3MoO7 structure.

Values from the calculation:
V ... 160 Å³/f.u.
Electronic total energy ... -17.42 eV/atom
Symmetry ... P2_12_12_1 (19)

Structure (POSCAR):
```
Pr3MoO7
1.0
7.622 0.000 0.000
0.000 7.642 0.000
0.000 0.000 11.006
Pr Mo O
12 4 28
Direct
0.761 0.210 0.497 Pr
0.498 0.451 0.779 Pr
0.002 0.549 0.279 Pr
0.998 0.049 0.221 Pr
0.502 0.951 0.721 Pr
0.239 0.710 0.003 Pr
0.261 0.290 0.503 Pr
0.739 0.790 0.997 Pr
0.000 0.056 0.773 Pr
0.000 0.556 0.727 Pr
0.500 0.444 0.227 Pr
0.500 0.944 0.273 Pr
0.754 0.254 0.001 Mo
0.246 0.754 0.499 Mo
0.254 0.246 0.999 Mo
0.746 0.746 0.501 Mo
0.510 0.233 0.632 O
0.490 0.733 0.868 O
0.010 0.267 0.368 O
0.990 0.767 0.132 O
0.715 0.063 0.877 O
0.285 0.563 0.623 O
0.215 0.437 0.123 O
-- Wanted --
Next, copy all of the calculation results further up exactly.
-- Here it is --
Record 1
The following is a DFT calculation (meta-GGA r2SCAN) of a geometry-optimized Si2Mo4P6O25 structure.

Values from the calculation:
V ... 481 Å³/f.u.
Electronic total energy ... -11.13 eV/atom
Symmetry ... P-3 (147)

Structure (POSCAR):
```
Si2Mo4P6O25
1.0
7.276 -12.603 0.000
7.277 12.603 0.000
0.000 0.000 7.863
Si Mo P O
6 12 18 75
Direct
0.000 0.000 0.299 Si
0.333 0.667 0.200 Si
0.333 0.667 0.798 Si
0.667 0.333 0.202 Si
0.667 0.333 0.800 Si
0.000 0.000 0.701 Si
0.001 0.661 0.051 Mo
0.673 0.002 0.443 Mo
0.661 0.661 0.949 Mo
0.002 0.329 0.557 Mo
0.661 0.999 0.051 Mo
0.671 0.673 0.557 Mo
0.999 0.339 0.949 Mo
0.329 0.327 0.443 Mo
0.327 0.998 0.557 Mo
0.339 0.001 0.949 Mo
0.339 0.339 0.051 Mo
0.998 0.671 0.443 Mo
0.427 0.899 0.255 P
0.101 0.528 0.255 P
0.767 0.861 0.249 P
0.472 0.573 0.255 P
0.861 0.094 0.751 P
0.233 0.139 0.751 P
0.760 0.566 0.252 P
0.906 0.767 0.751 P
0.240 0.434 0.748 P
0.573 0.101 0.745 P
0.139 0.906 0.249 P
0.806 0.240 0.252 P
0.566 0.806 0.748 P
0.094 0.233 0.249 P
0.899 0.472 0.745 P
0.528 0.427 0.745 P
0.434 0.194 0.252 P
0.194 0.760 0.748 P
0.476 0.383 0.915 O
0.281 0.410 0.589 O
0.411 0.784 0.272 O
0.915 0.540 0.593 O
0.784 0.373 0.728 O
0.085 0.460 0.407 O
0.627 0.411 0.728 O
0.617 0.093 0.915 O
0.913 0.216 0.757 O
0.958 0.076 0.775 O
0.719 0.590 0.411 O
0.239 0.187 0.579 O
0.754 0.118 0.241 O
0.294 0.432 0.911 O
0.451 0.709 0.725 O
0.882 0.958 0.225 O
0.364 0.246 0.241 O
0.742 0.451 0.275 O
0.087 0.784 0.243 O
0.924 0.882 0.775 O
0.667 0.333 0.001 O
0.138 0.706 0.911 O
0.333 0.667 0.999 O
0.568 0.862 0.911 O
0.246 0.882 0.759 O
0.187 0.949 0.421 O
0.949 0.761 0.579 O
0.907 0.524 0.915 O
0.625 0.085 0.593 O
0.789 0.042 0.899 O
0.578 0.549 0.743 O
0.432 0.138 0.089 O
0.000 0.000 0.500 O
0.118 0.364 0.759 O
0.216 0.304 0.243 O
0.118 0.042 0.775 O
0.590 0.870 0.589 O
0.253 0.211 0.899 O
0.383 0.907 0.085 O
0.042 0.924 0.225 O
0.130 0.719 0.589 O
0.696 0.913 0.243 O
0.882 0.636 0.241 O
0.216 0.627 0.272 O
0.422 0.451 0.257 O
0.042 0.253 0.101 O
0.636 0.754 0.759 O
0.870 0.281 0.411 O
0.375 0.915 0.407 O
0.211 0.958 0.101 O
0.589 0.216 0.728 O
0.029 0.578 0.257 O
0.304 0.087 0.757 O
0.549 0.291 0.275 O
0.813 0.051 0.579 O
0.051 0.239 0.421 O
0.410 0.130 0.411 O
0.373 0.589 0.272 O
0.291 0.742 0.725 O
0.460 0.375 0.593 O
0.258 0.549 0.725 O
0.093 0.476 0.085 O
0.524 0.617 0.085 O
0.958 0.747 0.899 O
0.709 0.258 0.275 O
0.549 0.971 0.257 O
0.540 0.625 0.407 O
0.451 0.029 0.743 O
0.784 0.696 0.757 O
0.971 0.422 0.743 O
0.706 0.568 0.089 O
0.076 0.118 0.225 O
0.747 0.789 0.101 O
0.862 0.294 0.089 O
0.761 0.813 0.421 O
```

Record 2
The following is a DFT calculation (meta-GGA r2SCAN) of a geometry-optimized MoPbO4 structure.

Values from the calculation:
V ... 89 Å³/f.u.
Electronic total energy ... -19.71 eV/atom
Symmetry ... P-1 (2)

Structure (POSCAR):
```
MoPbO4
1.0
1.146 4.291 -3.164
5.241 -1.495 -0.130
-4.272 -4.728 -3.250
Mo Pb O
2 2 8
Direct
0.125 0.375 0.250 Mo
0.875 0.625 0.750 Mo
0.626 0.875 0.250 Pb
0.375 0.125 0.750 Pb
0.932 0.311 0.587 O
0.277 0.433 0.087 O
0.811 0.154 0.086 O
0.654 0.777 0.587 O
0.346 0.223 0.413 O
0.189 0.846 0.913 O
0.067 0.689 0.413 O
0.723 0.567 0.913 O
```

Record 3
The following is a DFT calculation (meta-GGA r2SCAN) of a geometry-optimized Pr3MoO7 structure.

Values from the calculation:
V ... 160 Å³/f.u.
Electronic total energy ... -17.42 eV/atom
Symmetry ... P2_12_12_1 (19)

Structure (POSCAR):
```
Pr3MoO7
1.0
7.622 0.000 0.000
0.000 7.642 0.000
0.000 0.000 11.006
Pr Mo O
12 4 28
Direct
0.761 0.210 0.497 Pr
0.498 0.451 0.779 Pr
0.002 0.549 0.279 Pr
0.998 0.049 0.221 Pr
0.502 0.951 0.721 Pr
0.239 0.710 0.003 Pr
0.261 0.290 0.503 Pr
0.739 0.790 0.997 Pr
0.000 0.056 0.773 Pr
0.000 0.556 0.727 Pr
0.500 0.444 0.227 Pr
0.500 0.944 0.273 Pr
0.754 0.254 0.001 Mo
0.246 0.754 0.499 Mo
0.254 0.246 0.999 Mo
0.746 0.746 0.501 Mo
0.510 0.233 0.632 O
0.490 0.733 0.868 O
0.010 0.267 0.368 O
0.990 0.767 0.132 O
0.715 0.063 0.877 O
0.285 0.563 0.623 O
0.215 0.437 0.123 O